## Work order
Now print the lines further down up to the one that holds "-0.4905", that line included.

## Source
-- begin --
Entry from the Open Molecules 2025 dataset: a molecular structure, C41H34GeIrN2OS (ωB97M-V/def2-TZVPD).

XYZ file:
```
81
Properties=species:S:1:pos:R:3:forces:R:3:mulliken_charge:R:1
Ir -1.16106 1.59738 0.21322 0.3628 0.1081 0.8710 0.9368
C -4.74423 2.50143 -1.91037 0.0634 -0.0229 -0.0435 -0.8911
C -5.56173 3.00426 -0.91698 -0.0459 0.0358 0.0414 -0.4832
C -5.04496 3.18355 0.35762 0.0497 0.0656 -0.0313 -0.6990
C -3.73362 2.82891 0.61610 0.1877 0.1509 -0.0359 0.4423
N -2.95809 2.28536 -0.35141 -0.1785 -0.3083 0.0317 -0.0350
C -3.44345 2.15316 -1.59338 -0.1163 -0.0407 0.0721 -0.0005
C -3.05193 3.06359 1.91772 0.0245 -0.0467 -0.0695 0.8220
C -3.71547 3.49825 3.05019 -0.0245 0.0108 0.0323 -0.6356
C -3.00702 3.67495 4.23169 -0.0413 -0.0118 -0.0751 -0.5200
C -1.64907 3.42397 4.23998 0.0511 0.0087 -0.0170 -0.6985
C -1.04753 3.01181 3.06270 0.0939 0.0615 -0.0306 -0.2213
N -1.72097 2.82699 1.93020 -0.2018 0.1385 0.0405 -0.2057
H -5.09794 2.36280 -2.92188 0.0063 0.0216 -0.0007 0.4435
H -6.58710 3.27419 -1.12983 0.0029 -0.0018 0.0065 0.4448
H -5.65784 3.61520 1.13375 -0.0092 -0.0035 0.0128 0.3226
H -2.76632 1.73263 -2.32287 -0.0110 -0.0087 -0.0082 0.5636
H -4.77759 3.68791 3.02311 -0.0137 -0.0151 0.0199 0.3131
H -3.51677 4.00329 5.12730 -0.0001 -0.0023 -0.0047 0.4508
H -1.05181 3.54463 5.13230 -0.0138 0.0098 0.0046 0.4331
H 0.01260 2.81971 3.01011 0.0528 -0.0397 -0.0264 0.6061
O 0.76380 1.06375 1.01768 -0.3052 0.2337 -0.0382 -0.8064
S 0.93534 -0.36112 1.53725 0.2445 -0.2935 0.0801 0.1538
C 0.77918 -0.31113 3.31576 -0.2093 0.1434 -0.0590 0.3016
C 0.10985 -1.35339 3.93233 -0.0967 0.0180 0.0098 -0.1466
C -0.00008 -1.35583 5.31892 0.0093 0.0016 -0.0097 -0.7552
C 0.54301 -0.31672 6.05722 0.0193 0.0135 -0.0286 -0.5268
C 1.20601 0.73132 5.42124 -0.0229 -0.0319 -0.0018 -0.7559
C 1.33013 0.73564 4.04364 0.0713 -0.0256 0.0007 -0.7400
C 2.70027 -0.62475 1.51430 0.0048 0.0408 -0.0872 0.7236
C 3.55026 0.40024 1.14785 0.0350 0.0247 -0.0049 -0.0086
C 4.92017 0.16408 1.16960 -0.0501 0.0261 -0.0252 -0.7085
C 5.41008 -1.07654 1.54367 -0.0358 -0.0406 0.0119 -0.5933
C 4.53555 -2.09972 1.89747 0.0501 0.0198 -0.0098 -0.7993
C 3.16999 -1.87851 1.88490 -0.0158 0.0211 -0.0452 -0.6140
H -0.32945 -2.14770 3.34034 0.0052 0.0024 0.0010 0.5085
H -0.51628 -2.16585 5.81593 0.0011 0.0002 0.0023 0.4361
H 0.45630 -0.32068 7.13557 -0.0018 0.0011 0.0007 0.4270
H 1.63692 1.53395 6.00542 0.0038 -0.0035 0.0001 0.4863
H 1.86047 1.52910 3.53021 0.0329 -0.0182 0.0148 0.5367
H 3.14562 1.35421 0.83821 0.0060 -0.0111 -0.0212 0.4804
H 5.60103 0.95319 0.87897 -0.0023 -0.0029 0.0060 0.4666
H 6.47691 -1.25493 1.55520 0.0034 -0.0008 -0.0021 0.4318
H 4.91990 -3.06987 2.18191 0.0027 -0.0015 0.0008 0.4565
H 2.48327 -2.66953 2.16409 -0.0032 0.0010 0.0064 0.4193
C -1.26872 0.06280 -0.76892 0.1088 -0.0159 -0.6419 -0.9348
Ge -0.02403 -0.97000 -1.89326 -0.0063 -0.1038 0.0821 2.0981
C 1.80991 -0.32557 -1.92550 0.0508 -0.0094 0.0035 0.2162
C 2.86848 -1.23189 -1.99382 0.0187 0.0557 -0.0145 -0.5369
C 4.17073 -0.78855 -2.19505 -0.0423 0.0029 0.0151 -0.7226
C 4.42527 0.56706 -2.33989 -0.0036 -0.0051 0.0274 -0.5147
C 3.38137 1.48161 -2.26580 -0.0039 0.0027 0.0301 -0.8473
C 2.08397 1.03783 -2.05648 -0.0357 -0.0344 0.0304 0.1470
C -0.04777 -2.91137 -1.68238 -0.1234 0.0110 0.0525 0.0634
C 0.49647 -3.53673 -0.55952 0.0024 -0.0052 -0.0267 -0.1486
C 0.45872 -4.91617 -0.41831 -0.0057 0.0008 -0.0253 -0.7692
C -0.13306 -5.69709 -1.40282 0.0015 0.0331 -0.0032 -0.5117
C -0.67491 -5.09228 -2.52702 0.0216 0.0101 0.0180 -0.7086
C -0.63033 -3.71018 -2.66522 0.0131 -0.0159 0.0005 -0.4905
C -0.87013 -0.48721 -3.59306 -0.0396 0.0106 -0.0529 0.0099
C -2.24054 -0.68663 -3.78802 0.0473 -0.0024 -0.0369 -0.4286
C -2.85350 -0.31756 -4.97852 0.0178 -0.0040 0.0171 -0.8623
C -2.10330 0.26272 -5.99320 0.0092 -0.0056 0.0172 -0.5456
C -0.74185 0.46341 -5.81566 -0.0161 -0.0171 0.0137 -0.6778
C -0.13110 0.09072 -4.62447 -0.0395 0.0160 0.0077 -0.2557
H -2.30020 -0.26996 -0.95804 0.0222 -0.1409 -0.1204 0.5568
-- stop --

## Worked solution
Entry from the Open Molecules 2025 dataset: a molecular structure, C41H34GeIrN2OS (ωB97M-V/def2-TZVPD).

XYZ file:
```
81
Properties=species:S:1:pos:R:3:forces:R:3:mulliken_charge:R:1
Ir -1.16106 1.59738 0.21322 0.3628 0.1081 0.8710 0.9368
C -4.74423 2.50143 -1.91037 0.0634 -0.0229 -0.0435 -0.8911
C -5.56173 3.00426 -0.91698 -0.0459 0.0358 0.0414 -0.4832
C -5.04496 3.18355 0.35762 0.0497 0.0656 -0.0313 -0.6990
C -3.73362 2.82891 0.61610 0.1877 0.1509 -0.0359 0.4423
N -2.95809 2.28536 -0.35141 -0.1785 -0.3083 0.0317 -0.0350
C -3.44345 2.15316 -1.59338 -0.1163 -0.0407 0.0721 -0.0005
C -3.05193 3.06359 1.91772 0.0245 -0.0467 -0.0695 0.8220
C -3.71547 3.49825 3.05019 -0.0245 0.0108 0.0323 -0.6356
C -3.00702 3.67495 4.23169 -0.0413 -0.0118 -0.0751 -0.5200
C -1.64907 3.42397 4.23998 0.0511 0.0087 -0.0170 -0.6985
C -1.04753 3.01181 3.06270 0.0939 0.0615 -0.0306 -0.2213
N -1.72097 2.82699 1.93020 -0.2018 0.1385 0.0405 -0.2057
H -5.09794 2.36280 -2.92188 0.0063 0.0216 -0.0007 0.4435
H -6.58710 3.27419 -1.12983 0.0029 -0.0018 0.0065 0.4448
H -5.65784 3.61520 1.13375 -0.0092 -0.0035 0.0128 0.3226
H -2.76632 1.73263 -2.32287 -0.0110 -0.0087 -0.0082 0.5636
H -4.77759 3.68791 3.02311 -0.0137 -0.0151 0.0199 0.3131
H -3.51677 4.00329 5.12730 -0.0001 -0.0023 -0.0047 0.4508
H -1.05181 3.54463 5.13230 -0.0138 0.0098 0.0046 0.4331
H 0.01260 2.81971 3.01011 0.0528 -0.0397 -0.0264 0.6061
O 0.76380 1.06375 1.01768 -0.3052 0.2337 -0.0382 -0.8064
S 0.93534 -0.36112 1.53725 0.2445 -0.2935 0.0801 0.1538
C 0.77918 -0.31113 3.31576 -0.2093 0.1434 -0.0590 0.3016
C 0.10985 -1.35339 3.93233 -0.0967 0.0180 0.0098 -0.1466
C -0.00008 -1.35583 5.31892 0.0093 0.0016 -0.0097 -0.7552
C 0.54301 -0.31672 6.05722 0.0193 0.0135 -0.0286 -0.5268
C 1.20601 0.73132 5.42124 -0.0229 -0.0319 -0.0018 -0.7559
C 1.33013 0.73564 4.04364 0.0713 -0.0256 0.0007 -0.7400
C 2.70027 -0.62475 1.51430 0.0048 0.0408 -0.0872 0.7236
C 3.55026 0.40024 1.14785 0.0350 0.0247 -0.0049 -0.0086
C 4.92017 0.16408 1.16960 -0.0501 0.0261 -0.0252 -0.7085
C 5.41008 -1.07654 1.54367 -0.0358 -0.0406 0.0119 -0.5933
C 4.53555 -2.09972 1.89747 0.0501 0.0198 -0.0098 -0.7993
C 3.16999 -1.87851 1.88490 -0.0158 0.0211 -0.0452 -0.6140
H -0.32945 -2.14770 3.34034 0.0052 0.0024 0.0010 0.5085
H -0.51628 -2.16585 5.81593 0.0011 0.0002 0.0023 0.4361
H 0.45630 -0.32068 7.13557 -0.0018 0.0011 0.0007 0.4270
H 1.63692 1.53395 6.00542 0.0038 -0.0035 0.0001 0.4863
H 1.86047 1.52910 3.53021 0.0329 -0.0182 0.0148 0.5367
H 3.14562 1.35421 0.83821 0.0060 -0.0111 -0.0212 0.4804
H 5.60103 0.95319 0.87897 -0.0023 -0.0029 0.0060 0.4666
H 6.47691 -1.25493 1.55520 0.0034 -0.0008 -0.0021 0.4318
H 4.91990 -3.06987 2.18191 0.0027 -0.0015 0.0008 0.4565
H 2.48327 -2.66953 2.16409 -0.0032 0.0010 0.0064 0.4193
C -1.26872 0.06280 -0.76892 0.1088 -0.0159 -0.6419 -0.9348
Ge -0.02403 -0.97000 -1.89326 -0.0063 -0.1038 0.0821 2.0981
C 1.80991 -0.32557 -1.92550 0.0508 -0.0094 0.0035 0.2162
C 2.86848 -1.23189 -1.99382 0.0187 0.0557 -0.0145 -0.5369
C 4.17073 -0.78855 -2.19505 -0.0423 0.0029 0.0151 -0.7226
C 4.42527 0.56706 -2.33989 -0.0036 -0.0051 0.0274 -0.5147
C 3.38137 1.48161 -2.26580 -0.0039 0.0027 0.0301 -0.8473
C 2.08397 1.03783 -2.05648 -0.0357 -0.0344 0.0304 0.1470
C -0.04777 -2.91137 -1.68238 -0.1234 0.0110 0.0525 0.0634
C 0.49647 -3.53673 -0.55952 0.0024 -0.0052 -0.0267 -0.1486
C 0.45872 -4.91617 -0.41831 -0.0057 0.0008 -0.0253 -0.7692
C -0.13306 -5.69709 -1.40282 0.0015 0.0331 -0.0032 -0.5117
C -0.67491 -5.09228 -2.52702 0.0216 0.0101 0.0180 -0.7086
C -0.63033 -3.71018 -2.66522 0.0131 -0.0159 0.0005 -0.4905